The topic of the 3rd Workshop on Psychological Game Theory (July 25-27, 2018) will be “Emotions and Economic Theory”, so as to commemorate the 20th anniversary of Jon Elster’s (1998) seminal article. In this survey paper, Elster (1998) argues that a key characteristic of emotions is that ‘they are triggered by beliefs’ (p. 49). He discusses, inter alia, anger, hatred, guilt, shame, pride, admiration, regret, rejoicing, disappointment, elation, fear, hope, joy, grief, envy, malice, indignation, jealousy, surprise, boredom, sexual desire, enjoyment, worry, and frustration. This article has brought key ideas to the field of psychological games, stimulating psychological-game (theoretical and experimental) works in the last 20 years.
In this regard, the aim of the 3rd Workshop on Psychological Game Theory would be bringing together psychologists and game theorists, so as for the former to provide the latter with hints about how to model new belief-dependent emotions (new with respect to those already studied in behavioral game theory, e.g., guilt aversion, intention-based reciprocity, frustration and anger). Furthermore, cognitive neuroscientists will help triangulate the neural, psychological, and economic bases of belief-dependent emotions.
To submit a paper for the workshop email a pdf of the abstract or full paper to by 30th April 2018
List of accepted papers will be published on-line by 15th May 2018
Max number of accepted presentations in semi-plenary sessions: 40
[Between two parts of the piece: crystal structures]
[1]
TbNd2Tm3S6: optimized geometry, PBE.

Cell lengths 17.2287, 3.8926, 7.9630 Å; angles 90.00, 104.70, 90.00 degrees
Space group C2/m (No. 12)
Inequivalent atoms, fractional coordinates:
Tb 0.0000 0.0000 0.0000 [2 per cell]
Nd 0.1673 0.5000 0.3347 [4 per cell]
Tm 0.0000 0.0000 0.5000 [2 per cell]
Tm 0.1682 0.5000 0.8336 [4 per cell]
S 0.0051 0.5000 0.7466 [4 per cell]
S 0.1616 0.0000 0.5957 [4 per cell]
S 0.1679 0.0000 0.0694 [4 per cell]

Results
**Formation energy from raw total energies**: -1.980 eV/atom
**Theoretical density**: 7.37 g cm⁻³
**Uncorrected energy**: -6.342 eV per atom


[2]
Tb4Nd3TmS8: optimized geometry, PBE.

Cell lengths 7.9403, 7.9403, 19.4932 Å; angles 90.00, 90.00, 120.00 degrees
Space group R-3m (No. 166, hexagonal axes)
Inequivalent atoms, fractional coordinates:
Tb 0.0000 0.0000 0.0000 [3 per cell]
Tb 0.0000 0.5000 0.0000 [9 per cell]
Nd 0.0000 0.5000 0.5000 [9 per cell]
Tm 0.0000 0.0000 0.5000 [3 per cell]
S 0.0000 0.0000 0.2546 [6 per cell]
S 0.0103 0.5051 0.2519 [18 per cell]

Results
**Formation energy from raw total energies**: -1.996 eV/atom
**Theoretical density**: 6.99 g cm⁻³
**Uncorrected energy**: -6.391 eV per atom


[3]
Tb2Nd3TmS6: optimized geometry, PBE.

Cell lengths 6.8464, 11.8970, 6.9775 Å; angles 90.00, 109.15, 90.00 degrees
Space group C2/m (No. 12)
Inequivalent atoms, fractional coordinates:
Tb 0.0000 0.1668 0.0000 [4 per cell]
Nd 0.0000 0.0000 0.5000 [2 per cell]
Nd 0.0000 0.3309 0.5000 [4 per cell]
Tm 0.0000 0.5000 0.0000 [2 per cell]
S 0.2416 0.3359 0.2330 [8 per cell]
S 0.2501 0.0000 0.2350 [4 per cell]

Results
**Formation energy from raw total energies**: -2.012 eV/atom
**Theoretical density**: 6.88 g cm⁻³
**Uncorrected energy**: -6.412 eV per atom


[4]
TbNd2TmS4: optimized geometry, PBE.

Cell lengths 6.8338, 3.9164, 7.0272 Å; angles 90.00, 108.68, 90.00 degrees
Space group P2/m (No. 10)
Inequivalent atoms, fractional coordinates:
Tb 0.0000 0.0000 0.0000 [1 per cell]
Nd 0.0000 0.5000 0.5000 [1 per cell]
Nd 0.5000 0.0000 0.5000 [1 per cell]
Tm 0.5000 0.5000 0.0000 [1 per cell]
S 0.2482 0.5000 0.2331 [2 per cell]
S 0.2609 0.0000 0.7697 [2 per cell]

Results
**Formation energy from raw total energies**: -2.003 eV/atom
**Theoretical density**: 6.94 g cm⁻³
**Uncorrected energy**: -6.396 eV per atom


[5]
TbNd4Tm3S8: optimized geometry, PBE.

Cell lengths 7.8484, 7.8484, 19.9020 Å; angles 90.00, 90.00, 120.00 degrees
Space group R-3m (No. 166, hexagonal axes)
Inequivalent atoms, fractional coordinates:
Tb 0.0000 0.0000 0.0000 [3 per cell]
Nd 0.0000 0.0000 0.5000 [3 per cell]
Nd 0.0000 0.5000 0.5000 [9 per cell]
Tm 0.0000 0.5000 0.0000 [9 per cell]
S 0.0000 0.0000 0.2576 [6 per cell]
S 0.0040 0.5020 0.2568 [18 per cell]

Results
**Formation energy from raw total energies**: -1.994 eV/atom
**Theoretical density**: 7.03 g cm⁻³
**Uncorrected energy**: -6.378 eV per atom


[6]
TbNd3Y2S6: optimized geometry, PBE.

Cell lengths 6.8750, 11.9478, 6.9753 Å; angles 90.00, 109.24, 90.00 degrees
The workshop fee is 200 €
The workshop has received funding from:
IAREP (International Association for Research in Economic Psychology) and SABE (Society for the Advancement in Behavioral Economics).
The 1st Workshop on Psychological Game Theory has been organized in June 2016 (University of Gothenburg).
== Crystal structures from another source follow ==
/*
[1]
{"formula": "KPbSe2", "functional": "PBE-GGA", "state": "relaxed", "lattice": [[0.000, 3.804, 3.804], [3.804, 0.000, 3.804], [3.804, 3.804, 0.000]], "species": ["K", "Pb", "Se", "Se"], "fractional_positions": [[0.000, 0.000, 0.000], [0.250, 0.250, 0.250], [0.500, 0.500, 0.500], [0.750, 0.750, 0.750]], "formation_energy_uncorrected_ev_per_fu": -0.52}

=====

[2]
{"formula": "K2Si2PbSe6", "functional": "PBE-GGA", "state": "relaxed", "lattice": [[3.710, 2.142, 8.342], [-3.710, 2.142, 8.342], [0.000, -4.284, 8.342]], "species": ["K", "K", "Si", "Si", "Pb", "Se", "Se", "Se", "Se", "Se", "Se"], "fractional_positions": [[0.217, 0.217, 0.217], [0.783, 0.783, 0.783], [0.418, 0.418, 0.418], [0.582, 0.582, 0.582], [0.000, 0.000, 0.000], [0.235, 0.747, 0.747], [0.253, 0.253, 0.765], [0.253, 0.765, 0.253], [0.747, 0.235, 0.747], [0.747, 0.747, 0.235], [0.765, 0.253, 0.253]], "formation_energy_uncorrected_ev_per_fu": -6.50}

=====

[3]
{"formula": "KSmPbSe3", "functional": "PBE-GGA", "state": "relaxed", "lattice": [[9.041, 0.000, 0.000], [0.000, 4.265, 0.000], [-1.856, 0.000, 11.569]], "species": ["K", "K", "Sm", "Sm", "Pb", "Pb", "Se", "Se", "Se", "Se", "Se", "Se"], "fractional_positions": [[0.152, 0.250, 0.150], [0.848, 0.750, 0.850], [0.368, 0.750, 0.863], [0.632, 0.250, 0.137], [0.146, 0.250, 0.602], [0.854, 0.750, 0.398], [0.133, 0.250, 0.845], [0.351, 0.750, 0.610], [0.410, 0.750, 0.117], [0.590, 0.250, 0.883], [0.649, 0.250, 0.390], [0.867, 0.750, 0.155]], "formation_energy_uncorrected_ev_per_fu": -7.64}

=====

[4]
{"formula": "KSm2Pb3Se6", "functional": "PBE-GGA", "state": "relaxed", "lattice": [[9.440, -2.102, 0.000], [9.440, 2.102, 0.000], [-1.979, 0.000, 9.135]], "species": ["K", "Sm", "Sm", "Pb", "Pb", "Pb", "Se", "Se", "Se", "Se", "Se", "Se"], "fractional_positions": [[0.000, 0.000, 0.000], [0.333, 0.333, 0.667], [0.667, 0.667, 0.333], [0.000, 0.000, 0.500], [0.341, 0.341, 0.167], [0.659, 0.659, 0.833], [0.170, 0.170, 0.559], [0.179, 0.179, 0.118], [0.488, 0.488, 0.731], [0.512, 0.512, 0.269], [0.821, 0.821, 0.882], [0.830, 0.830, 0.441]], "formation_energy_uncorrected_ev_per_fu": -13.21}

=====

[5]
{"formula": "K3SnPb2Se6", "functional": "PBE-GGA", "state": "relaxed", "lattice": [[3.720, -6.446, 0.000], [3.720, 6.446, 0.000], [-2.509, 0.000, 7.738]], "species": ["K", "K", "K", "Sn", "Pb", "Pb", "Se", "Se", "Se", "Se", "Se", "Se"], "fractional_positions": [[0.000, 0.000, 0.000], [0.326, 0.674, 0.000], [0.674, 0.326, 0.000], [0.500, 0.500, 0.500], [0.166, 0.834, 0.500], [0.834, 0.166, 0.500], [0.127, 0.431, 0.292], [0.270, 0.270, 0.708], [0.431, 0.127, 0.292], [0.569, 0.873, 0.708], [0.730, 0.730, 0.292], [0.873, 0.569, 0.708]], "formation_energy_uncorrected_ev_per_fu": -8.89}

=====

[6]
*/
The 2nd Workshop on Psychological Game Theory has been organized in July 2017, University of East Anglia, Norwich).
As for the 3rd edition of the Workshop, there will be three types of presentations, aimed at allowing leading researchers to discuss and argue about frontier issues in psychological game theory:
1) Keynote lectures, by scholars who have made fundamental contributions to the field:
Pierpaolo Battigalli (Bocconi University and IGIER)
Gary Charness (University of California Santa Barbara) [IAREP special lecture]
Martin Dufwenberg (University of Arizona & University of Gothenburg)
2) Special lectures, by senior scholars bringing new ideas and indicating directions to the field:
Giorgio Coricelli (University of Southern California, Los Angeles)
Werner Güth (LUISS Rome & Max Planck Institute Bonn)[SABE special lecture]
Christian Ruff (University of Zurich)
Marie-Claire Villeval (University of Lyon)
3) Semi-plenary sessions (by, at most, 40 presenters replying to the call for papers) including a wide range of talks, from experimental work to fundamental theoretical work, with an interdisciplinary approach.
Thus, in addition to keynote speakers, the workshop will bring together the next generation of psy-games scholars. Graduate students attending the summer school will therefore enjoy interacting with junior and senior researchers working in the field.